Monday, April 26, 2010

Tug of War

The verdict is LMU.
I confess that this was not an easy decision at all, but one that forced me to result to: making bar graphs, making pie charts, and then drawing slips out of a hat.
My reasons for choosing LMU are as follows:
In September, when I was still compiling my list of colleges to apply to, I made a decision to commit to serving at SBECC. At the time, I felt very strongly about my commitment, and prayed that if this was the direction that God was leading, that He would open doors for me. And so with that in mind, I applied to the most of the schools in Socal and Boston College/University for my out of states. The waiting period was filled with a lot of doubt and uncertainty; I felt looked down upon by people when I shared about my decision, it seemed as if they thought I was limiting myself and my future, like they were all going off to far places, and I was; all in all, I felt very judged. I felt as if my commitment was wrong. When decisions came back, my ideal doors were not opened up to me. But the question I asked myself was, "Does not having those ideal doors opened change my decision to serve at SBECC? Should it make a difference?" Because my parents preferred that I went to a private school instead of a UC, the choices became Boston College, LMU, and Biola, this is where the struggles really began.
I was attracted to BC for its rank. I didn't want to be judged, I wanted to show people that I wasn't limiting myself. LMU and Biola were options because they were close to SBECC, but I really had no confidence in going to either. The sermon this past Sunday made a huge impact on my decision. One of his main points in his sermon on the Parable of the Talents was that the third servant made decisions selfishly, thus proving to be a hypocrite. He talked also about how God cares only if we are faithful to Him. His point about the servant acting selfishly really made me think about how if I chose BC, it'd be because I felt like I deserved it, and my own accomplishments brought me there. I'd go with confidence in my own abilities, and what I think is best for my future. I would be like the 3rd servant: a hypocrite. Furthermore, I had already made a commitment to serve at SBECC, going to BC just for it's name would be the betrayal of that commitment. If I chose BC, it wouldn't be out of faithfulness to God.
The choice between LMU and Biola was harder than I thought it would be. After my visit to Biola, I was so set on not going there. I felt very trapped and in a bubble there. But after researching LMU, not one website told me that LMU wasn't a superficial party school. The thoughts of not fitting in, not having friends scared me like crazy. On the outside, I might say that Biola was a great option because it offered me more resources for biblical instruction and spiritual growth, but deep down, I knew I wanted Biola because I'd be comfortable there. Even if I felt trapped, I'd rather be there where everyone else was exactly like me, then be at LMU where no one is like me. Again I stumbled on my own selfishness and insecurities. I didn't want to choose a school based on comfort or my own abilities, I wanted to be faithful knowing that God will provide for me even if I felt like the resources were scarce...and so, I ended up with LMU. It's a choice that allowed me to be faithful to the commitment I made earlier to serve at SBECC. I'm not sure if this is the right decision or not, or if I'll regret it or not, but I do know that there are many ways for God to work in the time that I'll be at LMU.


eelnorahs said...

I'm so encouraged by you Tanya :)

**What comes next are quantum chemistry results, not part of the entry**
~~~
Entry i
The following is a quantum chemistry calculation of one molecule with the formula C9H18N2O, from OMol25.

Last column: natural (NBO) charge in e.
Element x y z (Å)
C: 1.990 0.558 -1.529  -0.24
C: 2.148 -0.110 -0.323  -0.34
C: 0.862 0.253 -2.401  -0.27
C: 1.826 -1.382 0.087  0.16
C: -0.252 2.074 1.013  -0.65
C: -2.665 1.527 0.480  -0.61
C: -1.255 -0.193 1.695  -0.60
C: 0.770 -3.553 -0.122  -0.24
C: -1.156 0.927 0.594  0.11
N: -0.199 0.911 -1.594  -0.31
N: -0.830 0.241 -0.674  -0.26
O: 1.124 -2.278 -0.614  -0.51
H: 2.215 1.589 -1.500  0.18
H: 2.719 0.466 0.505  0.22
H: 0.932 0.671 -3.318  0.20
H: 0.626 -0.801 -2.440  0.23
H: 1.963 -1.666 1.212  0.16
H: -0.194 2.145 2.010  0.22
H: 0.796 1.788 0.589  0.21
H: -0.628 2.919 0.462  0.21
H: -3.252 0.655 0.622  0.20
H: -2.809 1.964 -0.434  0.21
H: -2.841 2.055 1.369  0.20
H: -2.143 -0.862 1.563  0.22
H: -0.310 -0.702 1.791  0.21
H: -1.418 0.505 2.577  0.19
H: 0.419 -3.527 0.883  0.18
H: 1.612 -4.225 -0.281  0.18
H: -0.099 -3.779 -0.840  0.21
H: 0.048 1.830 -1.382  0.34

LUMO energy (spin up / spin down) = 0.928 / 0.305 eV
gap between HOMO and LUMO (spin up / spin down) = 7.70 / 6.98 eV

=====

Entry ii
The following is a quantum chemistry calculation of a 2-piece molecular cluster, C9H18N2O overall, from OMol25.

Last column: natural (NBO) charge in e.
Element x y z (Å)
C: -0.375 -4.866 0.713  -0.63
C: 0.880 -4.103 1.116  -0.06
C: 1.586 -0.787 1.372  0.06
C: 0.237 -0.186 1.436  -0.70
C: -1.231 3.959 -0.281  -0.25
C: -1.044 2.681 -1.013  -0.17
C: 0.159 2.136 -1.190  -0.25
C: 0.363 0.831 -1.797  -0.22
C: -0.583 0.168 -2.476  -0.38
H: -0.695 -4.536 -0.292  0.21
H: -1.191 -4.587 1.385  0.21
H: -0.203 -5.958 0.752  0.22
H: 1.290 -4.468 2.066  0.17
H: 1.668 -4.193 0.353  0.18
H: 2.485 -0.136 1.372  0.19
H: -0.340 -0.529 2.299  0.23
H: -0.366 -0.442 0.571  0.25
H: 0.305 0.897 1.500  0.22
H: -0.086 5.573 0.333  0.36
H: 0.003 5.269 -1.264  0.36
H: -1.474 3.744 0.778  0.20
H: -2.149 4.449 -0.654  0.17
H: -1.956 2.148 -1.299  0.20
H: 1.022 2.699 -0.848  0.23
H: 1.344 0.405 -1.707  0.21
H: -1.562 0.591 -2.690  0.19
H: -0.390 -0.826 -2.866  0.20
N: 1.784 -2.051 1.432  -0.13
N: -0.055 4.833 -0.349  -0.84
O: 0.575 -2.713 1.250  -0.42

LUMO energy = 0.814 eV
SMILES string = C=C/C=C/CN.C/C=N\OCC
gap between HOMO and LUMO = 9.29 eV

=====

Question: of the structures shown, which is the most stable? Reply: entry ii.
~~~

Greg said...

seriously Tanya... this is such an awesome work of God in your life! I hope people reading this will have the courage and faith that God is building in you!


Rich Hung said...

tanya! wow! it' so cool to read and get insight into your thoughts about your commitment & the BIG reasons "why"?

"if you'll regret it or not"...that hit me b/c I'm thinking a lot about my past decisions and outcomes of them, especially as a Christian these past few years...whether you regret it or not, if you can still love Jesus and know He loves & is always with you, even after everything is said and done, and 4 years (more or less) fly right on by...that's the blessed/best.